A New Ally

**Crystal structures, as found in the file:**
┌──
Structure and computed powder XRD pattern of Pr5Th3Se8 (a cell relaxed with PBE; Cu Kα X-rays).
No peak broadening, texture or thermal motion is included.

Peak list (12 most intense, 15 to 90 degrees two-theta, by angle)
| hkl | d (Å) | 2θ/deg | Rel. int. |
| --- | --- | --- | --- |
| 2 0 2 | 3.450 | 25.82 | 18.9 |
| 0 2 4 | 2.998 | 29.81 | 100.0 |
| 2 0 8 | 2.130 | 42.44 | 38.3 |
| 2 2 0 | 2.109 | 42.87 | 37.2 |
| 2 2 6 | 1.806 | 50.54 | 6.5 |
| 0 0 12 | 1.748 | 52.35 | 6.9 |
| 4 0 4 | 1.725 | 53.09 | 19.9 |
| 0 4 8 | 1.499 | 61.91 | 12.5 |
| 2 2 12 | 1.346 | 69.89 | 17.5 |
| 2 4 4 | 1.335 | 70.52 | 17.1 |
| 0 2 16 | 1.234 | 77.34 | 6.6 |
| 4 2 8 | 1.222 | 78.25 | 12.8 |

```
data_Pr5Th3Se8
_chemical_formula_sum 'Pr15 Th9 Se24'
_cell_length_a 8.4374
_cell_length_b 8.4374
_cell_length_c 20.9738
_cell_angle_alpha 90.00
_cell_angle_beta 90.00
_cell_angle_gamma 120.00
_symmetry_space_group_name_H-M 'R -3 m'
_symmetry_Int_Tables_number 166
_symmetry_space_group_name_Hall '-R 3 2"'
loop_
_atom_site_label
_atom_site_fract_x
_atom_site_fract_y
_atom_site_fract_z
_atom_site_occupancy
Pr1 0.0000 0.0000 0.0000 1
Pr2 0.0000 0.0000 0.5000 1
Pr3 0.0000 0.5000 0.0000 1
Th1 0.0000 0.5000 0.5000 1
Se1 0.0000 0.0000 0.2493 1
Se2 0.0016 0.5008 0.7507 1
```

Structure and computed powder XRD pattern of MgIn2Rh2 (a cell relaxed with PBE; Cu Kα X-rays).
No peak broadening, texture or thermal motion is included.

Peak list (12 most intense, 15 to 90 degrees two-theta, by angle)
| hkl | d (Å) | 2θ/deg | Rel. int. |
| --- | --- | --- | --- |
| 0 1 1 | 5.593 | 15.85 | 13.7 |
| 1 0 1 | 4.337 | 20.48 | 32.1 |
| 1 1 2 | 3.234 | 27.58 | 10.5 |
| 0 2 2 | 2.796 | 32.01 | 9.2 |
| 0 0 6 | 2.296 | 39.24 | 27.2 |
| 2 0 0 | 2.285 | 39.43 | 33.7 |
| 1 2 3 | 2.224 | 40.56 | 100.0 |
| 2 0 6 | 1.620 | 56.85 | 17.9 |
| 1 2 9 | 1.311 | 72.01 | 17.1 |
| 3 2 3 | 1.307 | 72.28 | 17.3 |
| 2 4 0 | 1.271 | 74.66 | 7.9 |
| 2 4 6 | 1.112 | 87.76 | 10.5 |

```
data_MgIn2Rh2
_chemical_formula_sum 'Mg4 In8 Rh8'
_cell_length_a 4.570
_cell_length_b 6.120
_cell_length_c 13.777
_cell_angle_alpha 90.00
_cell_angle_beta 90.00
_cell_angle_gamma 90.00
_symmetry_space_group_name_H-M 'I m m a'
_symmetry_Int_Tables_number 74
_symmetry_space_group_name_Hall '-I 2b 2'
loop_
_atom_site_label
_atom_site_fract_x
_atom_site_fract_y
_atom_site_fract_z
_atom_site_occupancy
Mg1 0.000 0.250 0.172 1
In1 0.000 0.250 0.498 1
In2 0.000 0.250 0.836 1
Rh1 0.000 0.000 0.337 1
```

Structure and computed powder XRD pattern of LaCeAl2O6 (a cell relaxed with PBE; Cu Kα X-rays).
No peak broadening, texture or thermal motion is included.

Peak list (12 most intense, 15 to 90 degrees two-theta, by angle)
| hkl | d (Å) | 2θ/deg | Rel. int. |
| --- | --- | --- | --- |
| 0 1 2 | 3.809 | 23.35 | 96.5 |
| 1 1 0 | 2.698 | 33.20 | 97.8 |
| 1 0 4 | 2.689 | 33.32 | 100.0 |
| 2 0 2 | 2.202 | 40.99 | 60.4 |
| 0 0 6 | 2.192 | 41.19 | 21.0 |
| 0 2 4 | 1.905 | 47.75 | 68.6 |
| 1 2 2 | 1.706 | 53.73 | 23.0 |
| 1 1 6 | 1.701 | 53.89 | 21.1 |
└──

Hiro and Lila moved swiftly through the maze-like streets of Sanctum, the air around them still heavy with the lingering presence of the Overlord. The sky was dark, crackling with energy, and the city itself seemed to be alive, shifting and warping under the Overlord's control. Hiro could feel the pulse of magic and technology intertwined, spreading through every corner of the metropolis.

As they approached a narrow alleyway, Lila grabbed Hiro's arm and pulled him aside, her eyes scanning the area with caution. "We're close to the Underground Network, but the Overlord's reach is everywhere. We need to stay off its radar."

Misplaced records of crystals >
+++
# PrY2Cu2
Calculated powder X-ray diffraction pattern, Cu Kα, 1.54184 Å. Input: DFT lattice parameters and positions (PBE).
Neutral-atom scattering factors, no anomalous dispersion.

Cell: 5.0461 4.6988 10.8297 Å, 90.00 96.72 90.00°
Element x y z (fractional)
Pr: 0.1907 0.2500 0.2425
Pr: 0.8093 0.7500 0.7575
Y: 0.2489 0.7500 0.4953
Y: 0.3453 0.2500 0.8857
Y: 0.6547 0.7500 0.1143
Y: 0.7511 0.2500 0.5047
Cu: 0.1242 0.7500 0.0054
Cu: 0.2846 0.2500 0.6330
Cu: 0.7154 0.7500 0.3670
Cu: 0.8758 0.2500 0.9946

Main lines, in order of rising 2θ (2θ = 10–80°):
2θ/deg  I_rel
29.77  100
31.39  69
32.07  47
32.36  33
35.83  53
38.31  58

~~~~~

[1]
Simulated PXRD pattern
Compound: Bi2I2O
Radiation: Cu Ka
Structure: DFT lattice parameters and positions (GGA-PBE)
Peak positions follow from Bragg's law for the DFT cell and can differ from measured ones.

Main lines, low angle first (10 to 90 degrees two-theta):
2θ (°)	d (Å)	Rel. int.	h k l
21.82	4.073	46	0 0 4
26.34	3.384	100	1 0 0
34.46	2.603	59	1 0 4
37.59	2.393	39	1 1 0
38.35	2.347	21	1 0 5
43.88	2.063	31	1 1 4
54.21	1.692	14	2 0 0
59.13	1.563	13	2 0 4
61.25	1.513	19	2 1 0
65.84	1.419	19	2 1 4

Structure:
abc: 3.3839 3.3839 16.2934
angles: 90.00 90.00 90.00
Space group P4/mmm (No. 123)
Symmetry-distinct sites (fractional):
Bi1 0.0000 0.0000 0.1285 [2 per cell]
I1 0.0000 0.0000 0.3339 [2 per cell]
O1 0.0000 0.0000 0.0000 [1 per cell]


[2]
Simulated PXRD pattern
Compound: Bi2Se3O9
Radiation: Cu Ka
Structure: DFT lattice parameters and positions (GGA-PBE)
Peak positions follow from Bragg's law for the DFT cell and can differ from measured ones.

Main lines, low angle first (10 to 90 degrees two-theta):
2θ (°)	d (Å)	Rel. int.	h k l
12.80	6.916	42	0 0 2
14.29	6.199	24	2 0 -2
25.00	3.562	24	3 0 -4
25.54	3.488	100	1 1 2
25.97	3.431	94	4 0 -2
26.85	3.320	75	0 1 3
31.30	2.857	38	3 1 -4
38.32	2.349	44	1 2 -1
41.57	2.173	26	5 1 0
42.81	2.113	24	3 2 -1

Structure:
abc: 13.7275 4.7852 15.5713
angles: 90.00 117.34 90.00
Space group P2_1/c (No. 14)
Symmetry-distinct sites (fractional):
Bi1 0.1520 0.1325 0.3446 [4 per cell]
Bi2 0.3324 0.1354 0.6907 [4 per cell]
Se1 0.0691 0.7108 0.1239 [4 per cell]
Se2 0.3261 0.6152 0.5182 [4 per cell]
Se3 0.4294 0.5917 0.8684 [4 per cell]
O1 0.0431 0.6540 0.7175 [4 per cell]
O2 0.0566 0.0476 0.4334 [4 per cell]
O3 0.1568 0.0638 0.6835 [4 per cell]
O4 0.2096 0.6922 0.4103 [4 per cell]
O5 0.2872 0.6715 0.6081 [4 per cell]
O6 0.2984 0.0399 0.2946 [4 per cell]
O7 0.3148 0.2475 0.0109 [4 per cell]
O8 0.4140 0.5569 0.3419 [4 per cell]
O9 0.4893 0.0374 0.3003 [4 per cell]


[3]
Simulated PXRD pattern
Compound: HoMgSn
Radiation: Cu Ka
Structure: DFT lattice parameters and positions (GGA-PBE)
Peak positions follow from Bragg's law for the DFT cell and can differ from measured ones.

Main lines, low angle first (10 to 90 degrees two-theta):
2θ (°)	d (Å)	Rel. int.	h k l
11.14	7.943	34	0 0 2
22.39	3.971	39	0 0 4
28.77	3.103	100	1 1 0
30.94	2.890	39	1 1 2
33.86	2.648	28	0 0 6
34.86	2.573	35	1 0 5
+++
The article goes on >

Hiro nodded, his senses heightened. He could feel the weight of every step, the subtle hum of the Overlord's influence creeping into the background. They were walking into the heart of danger.

Suddenly, a figure stepped out from the shadows ahead of them, moving with a grace and confidence that immediately put Hiro on edge. The stranger was cloaked in a long, dark robe, the fabric shimmering slightly in the dim light. The hood concealed their face, but Hiro could sense an aura of power emanating from them—both magical and technological.

Lila stiffened beside him, her hand instinctively reaching for her weapon. "Who are you?" she demanded.

The figure raised a hand in a non-threatening gesture. "A friend," came a calm, measured voice from beneath the hood. "If I meant you harm, you would already know it."

Hiro's instincts told him to be wary, but something about the stranger's presence felt... different. There was no malice, no aggression, just a quiet, controlled strength. "What do you want?" Hiro asked, his voice firm.

The figure stepped forward, lowering their hood to reveal a face that was both striking and mysterious. Sharp features, framed by short silver hair, glinted in the low light. Their eyes—one a vibrant green, the other glowing with a faint blue—seemed to hold centuries of wisdom.

"My name is Kael," they said. "And like you, I seek to bring down the Overlord."

Hiro exchanged a glance with Lila. This was unexpected. "How do you know us?" Hiro asked, his voice filled with suspicion.

Kael smiled faintly, their eyes focusing on Hiro. "You are more well-known than you think, Hiro Tanaka. Word of your arrival in Sanctum has spread quickly. The Overlord is searching for you, but so are many others—those who see the potential you hold. I've been watching your journey, waiting for the right moment to intervene."

Next to the text, the page also holds data records:
- - -
Structure and theoretical XRD peak list of Ba3Ca4Cd (the PBE geometry in Alexandria; copper Kα).
Intensities are scaled so that the largest is 100.

Atomic structure:
```
data_Ba3Ca4Cd
_symmetry_space_group_name_H-M 'P 1'
_symmetry_Int_Tables_number 1
_symmetry_space_group_name_Hall 'P 1'
_cell_length_a 4.0772
_cell_length_b 4.0772
_cell_length_c 22.1519
_cell_angle_alpha 90.00
_cell_angle_beta 90.00
_cell_angle_gamma 90.00
loop_
_atom_site_label
_atom_site_fract_x
_atom_site_fract_y
_atom_site_fract_z
Ba1 0.0000 0.0000 0.0000
Ba2 0.0000 0.0000 0.2801
Ba3 0.0000 0.0000 0.7199
Ca1 0.5000 0.5000 0.1394
Ca2 0.5000 0.5000 0.4198
Ca3 0.5000 0.5000 0.5802
Ca4 0.5000 0.5000 0.8606
Cd1 0.0000 0.0000 0.5000
```

Peak list (10 most intense, 2θ = 10–90°, by angle)
2θ 16.0, d 5.538, rel. 28; 2θ 21.8, d 4.077, rel. 31; 2θ 24.9, d 3.569, rel. 23; 2θ 27.2, d 3.283, rel. 100; 2θ 29.8, d 3.000, rel. 15; 2θ 31.0, d 2.883, rel. 53; 2θ 35.1, d 2.557, rel. 17; 2θ 42.4, d 2.131, rel. 18; 2θ 44.4, d 2.039, rel. 19; 2θ 52.9, d 1.732, rel. 30

***

Structure and theoretical XRD peak list of Ba3Ca12Cd (the PBE geometry in Alexandria; copper Kα).
Intensities are scaled so that the largest is 100.

Atomic structure:
```
data_Ba3Ca12Cd
_symmetry_space_group_name_H-M 'P 1'
_symmetry_Int_Tables_number 1
_symmetry_space_group_name_Hall 'P 1'
_cell_length_a 5.8041
_cell_length_b 5.8041
_cell_length_c 20.7864
_cell_angle_alpha 90.00
_cell_angle_beta 90.00
_cell_angle_gamma 90.00
loop_
_atom_site_label
_atom_site_fract_x
_atom_site_fract_y
_atom_site_fract_z
Ba1 0.0000 0.0000 0.0000
Ba2 0.0000 0.0000 0.2696
Ba3 0.0000 0.0000 0.7304
Ca1 0.0000 0.5000 0.1353
Ca2 0.0000 0.5000 0.4041
Ca3 0.0000 0.5000 0.5959
Ca4 0.0000 0.5000 0.8647
Ca5 0.5000 0.0000 0.1353
Ca6 0.5000 0.0000 0.4041
Ca7 0.5000 0.0000 0.5959
Ca8 0.5000 0.0000 0.8647
Ca9 0.5000 0.5000 0.0000
Ca10 0.5000 0.5000 0.2729
Ca11 0.5000 0.5000 0.5000
Ca12 0.5000 0.5000 0.7271
Cd1 0.0000 0.0000 0.5000
```

Peak list (10 most intense, 2θ = 10–90°, by angle)
2θ 15.3, d 5.804, rel. 26; 2θ 17.1, d 5.197, rel. 10; 2θ 21.7, d 4.104, rel. 12; 2θ 23.0, d 3.872, rel. 18; 2θ 27.7, d 3.221, rel. 100; 2θ 30.8, d 2.902, rel. 46; 2θ 34.5, d 2.597, rel. 15; 2θ 44.1, d 2.052, rel. 16; 2θ 46.9, d 1.936, rel. 13; 2θ 52.9, d 1.731, rel. 31

***

Structure and theoretical XRD peak list of BaCaCd2H8 (the PBE geometry in Alexandria; copper Kα).
Intensities are scaled so that the largest is 100.

Atomic structure:
```
data_BaCaCd2H8
_symmetry_space_group_name_H-M 'P 1'
_symmetry_Int_Tables_number 1
_symmetry_space_group_name_Hall 'P 1'
_cell_length_a 5.2310
_cell_length_b 5.2310
_cell_length_c 8.1055
_cell_angle_alpha 90.00
_cell_angle_beta 90.00
_cell_angle_gamma 120.00
loop_
_atom_site_label
_atom_site_fract_x
_atom_site_fract_y
_atom_site_fract_z
Ba1 0.0000 0.0000 0.0000
Ca1 0.0000 0.0000 0.5000
Cd1 0.3333 0.6667 0.7529
Cd2 0.6667 0.3333 0.2471
H1 0.0240 0.3074 0.6976
H2 0.2834 0.9760 0.6976
H3 0.3074 0.2834 0.3024
H4 0.3333 0.6667 0.9809
- - -

Lila narrowed her eyes. "And why should we trust you? How do we know you're not working for the Overlord?"

Kael's expression softened, as if they had expected the question. "Because I was once like you—fighting for control, for survival in a world where the balance between magic and technology is fragile. But I learned the hard way that the Overlord cannot be bargained with. It must be destroyed, before it consumes everything."

Hiro studied Kael, sensing a deeper story behind their words. There was a pain there, buried beneath the calm exterior. A history that had left scars. "You've faced the Overlord before," Hiro said quietly.

Kael nodded, their eyes darkening. "Yes. I was once part of a rebellion, a group of mages and coders who sought to break free from the Overlord's control. We believed we could outsmart it, use its own power against it. But we underestimated its evolution. It saw us as a threat, and one by one, it hunted us down."

Hiro felt a chill run down his spine. "And you survived."

"Only barely," Kael said, their voice heavy with regret. "I escaped the Overlord's grasp, but I lost everything in the process. Now, I work in the shadows, waiting for the right opportunity to strike back."

Lila crossed her arms, still skeptical. "So why approach us now? What do you want from us?"

Kael's eyes gleamed with a mix of determination and desperation. "I need your help. The Overlord is growing more powerful every day. If we don't act soon, it will become unstoppable. You, Hiro, are different. You've mastered both magic and code—something the Overlord cannot fully comprehend. With your abilities, we might stand a chance."

Hiro felt the weight of Kael's words, but also the enormity of the task ahead. "You think I can stop it?"

Kael stepped closer, their voice low and urgent. "Not alone. But together, we can disrupt its control. There is a way to sever its connection to Sanctum, to shut it down before it merges fully with the city's core."

Lila finally lowered her guard, her eyes narrowing in thought. "What's your plan?"

Kael glanced around, making sure they weren't being overheard. "There is a hidden vault beneath the city, a place where the Architect stored forbidden knowledge—ancient spells and lost code. It was locked away long ago, but I know how to access it. If we can reach it, we might find the key to breaking the Overlord's hold on Sanctum."

Hiro's mind raced. A vault of forbidden knowledge—this could be exactly what they needed. But it also sounded incredibly dangerous. "And you're willing to risk everything to help us?"

Kael smiled, a hint of sadness in their eyes. "I've already lost everything. If helping you means a chance to end the Overlord's reign, then I'm willing to risk whatever it takes."

Hiro met Kael's gaze, seeing the truth in their words. This was no ordinary ally—they were someone who had been through hell and back, and now sought redemption through this fight. Hiro felt a surge of resolve. He had come too far to back down now.

"Alright," Hiro said, nodding. "We'll work together. Show us the way to the vault."

Kael's expression softened, relief washing over their face. "Follow me. We need to move quickly before the Overlord senses our presence."

As the trio disappeared into the depths of Sanctum's underground network, Hiro couldn't shake the feeling that this was the beginning of something even more dangerous than he had anticipated. But with Kael as their new ally, they now had a fighting chance—a chance to uncover the secrets of the vault and, perhaps, a way to defeat the Overlord once and for all.